Excerpt =
Record 1
KCe2TeO8: relaxed, PBE. Values from VASP.

Structure (Quantum ESPRESSO input):
```
&SYSTEM
  ibrav = 0, nat = 12, ntyp = 4
/
ATOMIC_SPECIES
K 39.10 K.upf
Ce 140.12 Ce.upf
Te 127.60 Te.upf
O 16.00 O.upf
ATOMIC_POSITIONS angstrom
K 0.002 0.004 3.785
Ce 2.523 2.506 5.783
Ce 2.520 2.502 1.779
Te 0.000 0.000 0.000
O 0.982 4.032 1.411
O 3.620 3.611 7.564
O 4.058 0.971 1.412
O 4.061 0.976 6.152
O 1.423 1.397 -0.002
O 0.985 4.037 6.150
O 3.243 3.273 3.780
O 1.800 1.735 3.782
CELL_PARAMETERS angstrom
4.994 0.012 -0.003
0.044 4.989 -0.005
0.005 0.008 7.570
```

Calculated values
final energy = -81.2 eV per cell
total moment = 1.0 μB/cell

=====

Record 2
FeCoP2S: relaxed, PBE. Values from VASP.

Structure (Quantum ESPRESSO input):
```
&SYSTEM
  ibrav = 0, nat = 5, ntyp = 4
/
ATOMIC_SPECIES
P 30.97 P.upf
S 32.06 S.upf
Co 58.93 Co.upf
Fe 55.84 Fe.upf
ATOMIC_POSITIONS angstrom
P -0.815 -1.846 -0.542
P -1.924 0.795 0.186
S -0.045 -0.624 2.191
Co 0.000 0.000 0.000
Fe -2.785 -1.675 1.835
CELL_PARAMETERS angstrom
-3.848 1.590 0.373
-1.631 -3.693 -1.085
-0.091 -1.247 4.382
```

Calculated values
E above lowest polymorph = 0.000 eV per atom
total moment = 2.8 μB/cell

=====

Record 3
YRhW2: relaxed, PBE. Values from VASP.

Structure (Quantum ESPRESSO input):
```
&SYSTEM
  ibrav = 0, nat = 4, ntyp = 3
/
ATOMIC_SPECIES
Rh 102.91 Rh.upf
W 183.84 W.upf
Y 88.91 Y.upf
ATOMIC_POSITIONS angstrom
Rh -1.435 2.330 1.414
W 0.000 0.000 0.000
W 1.301 2.327 0.000
Y 2.736 -0.002 1.414
CELL_PARAMETERS angstrom
5.472 -0.005 0.000
-2.869 4.659 0.000
0.000 0.000 2.828
```

Calculated values
E above lowest polymorph = 0.377 eV per atom
energy of formation = 0.4264 eV/atom
total moment = 0.0 μB/cell

=====

Record 4
CaMnCo: relaxed, PBE. Values from VASP.

Structure (Quantum ESPRESSO input):
```
&SYSTEM
  ibrav = 0, nat = 6, ntyp = 3
/
ATOMIC_SPECIES
Ca 40.08 Ca.upf
Mn 54.94 Mn.upf
Co 58.93 Co.upf
ATOMIC_POSITIONS angstrom
Ca -2.494 -2.482 0.429
Ca -6.315 -0.811 -2.353
Mn -2.019 0.334 -0.038
Mn -6.057 1.003 -0.113
Co 0.000 0.000 0.000
Co -4.038 0.669 -0.075
CELL_PARAMETERS angstrom
-0.042 -0.812 -4.946
-0.692 -3.819 3.172
-8.075 1.338 -0.150
```

Calculated values
E above lowest polymorph = 1.158 eV per atom
energy of formation = 1.3537 eV/atom
total moment = 7.0 μB/cell

=====

Record 5
DyTm2ScIn2: relaxed, PBE. Values from VASP.

Structure (Quantum ESPRESSO input):
```
&SYSTEM
  ibrav = 0, nat = 12, ntyp = 4
/
ATOMIC_SPECIES
Dy 162.50 Dy.upf
Tm 168.93 Tm.upf
Sc 44.96 Sc.upf
In 114.82 In.upf
ATOMIC_POSITIONS angstrom
Dy 0.113 1.545 4.261
Dy 2.332 -0.762 5.112
Tm -1.916 -1.666 0.679
Tm 1.183 -0.689 1.825
Tm 0.466 -0.833 9.987
Tm 3.511 -0.879 8.377
Sc -0.711 -0.696 6.779
Sc 1.451 -4.093 4.695
In 1.282 1.423 7.482
In -0.755 -1.753 3.965
In 3.392 -2.971 2.713
In 1.515 -3.057 7.517
CELL_PARAMETERS angstrom
-3.901 -3.276 1.292
4.435 -4.637 1.636
0.164 3.168 8.531
```

Calculated values
energy of formation = -0.3526 eV/atom
total moment = 0.0 μB/cell

=====

Record 6
Sc3SiAg3O8: relaxed, PBE. Values from VASP.

Structure (Quantum ESPRESSO input):
```
&SYSTEM
  ibrav = 0, nat = 15, ntyp = 4
/
ATOMIC_SPECIES
Sc 44.96 Sc.upf
Si 28.09 Si.upf
Ag 107.87 Ag.upf
O 16.00 O.upf
ATOMIC_POSITIONS angstrom
Sc -4.417 -1.361 0.239
Sc -1.786 -2.897 -0.389
Sc 0.529 -2.931 1.689
Si -2.102 -1.395 2.317
Ag 0.000 0.000 0.000
Ag 2.631 -1.536 -0.628
Ag 0.317 -1.502 -2.706
O 0.245 -2.597 -0.317
O -3.817 -3.196 -0.461
O -1.940 -2.694 -2.542
O -1.632 -3.099 1.764
O -4.917 -0.955 -1.832
O 1.345 -4.838 1.054
O -2.298 -0.994 0.519
O -1.274 -4.799 -1.297
CELL_PARAMETERS angstrom
-4.630 0.069 -4.157
5.263 -3.072 -1.256
-4.204 -2.791 4.634
```

Calculated values
final energy = -105.5 eV per cell
total moment = 0.0 μB/cell

=====

Copy entry 1 word for word.
KCe2TeO8: relaxed, PBE. Values from VASP.

Structure (Quantum ESPRESSO input):
```
&SYSTEM
  ibrav = 0, nat = 12, ntyp = 4
/
ATOMIC_SPECIES
K 39.10 K.upf
Ce 140.12 Ce.upf
Te 127.60 Te.upf
O 16.00 O.upf
ATOMIC_POSITIONS angstrom
What to do =
Count the lines above that contain the word "ntyp" and give the number alone.
Here it is =
7